Short name:arm9
Is device:Yes
Source file:devices/cpu/arm7/arm7.cpp

Referenced By

Short name
Source file
bballoon BnB Arcade eolith/ghosteo.cpp
bkarast Karaoke Station (Japan, set 1) skeleton/easy_karaoke.cpp
bkarasta Karaoke Station (Japan, set 2) skeleton/easy_karaoke.cpp
bkarastb Karaoke Station (Japan, set 3) skeleton/easy_karaoke.cpp
bkarastc Karaoke Station (Japan, set 4) skeleton/easy_karaoke.cpp
bkarastd Karaoke Station (Japan, set 5) skeleton/easy_karaoke.cpp
bkaraste Karaoke Station (Japan, set 6) skeleton/easy_karaoke.cpp
bkarastf Karaoke Station 'For Girls' (Japan) skeleton/easy_karaoke.cpp
cubieboard4 Cubieboard4 (CC A-20) skeleton/cubieboard4.cpp
dbzonep Dragon Ball Z x One Piece: Battle Taikan Gum-Gum no Kamehameha: Omee no Koe de Ora o Yobu (Japan) skeleton/koto_zevio.cpp
dbzscout Dragon Ball Z: Scouter Battle Taikan Kamehameha: Ora to Omee to Scouter (Japan) skeleton/koto_zevio.cpp
didj Didj tvgames/magiceyes_pollux_vr3520f.cpp
digiblst digiBLAST skeleton/digiblast.cpp
digixar Digimon X Arena (Japan) skeleton/epoch_tv_globe.cpp
dks7000c Disney Classic Handheld Karaoke Player (DKS7000-C) skeleton/easy_karaoke.cpp
dks7000p Disney Princess Handheld Karaoke Player (DKS7000-P) skeleton/easy_karaoke.cpp
easykara Easy Karaoke Groove Station (UK) skeleton/easy_karaoke.cpp
eptvglob TV Globe (Japan) skeleton/epoch_tv_globe.cpp
gizmondo Gizmondo tigertel/gizmondo.cpp
gp2x GP2X gamepark/gp2x.cpp
gp32 GP32 gamepark/gp32.cpp
hapytour Happy Tour eolith/ghosteo.cpp
hp49gp HP49G+ hp/hp49gp.cpp
hppyvideo Happy Video skeleton/happyvideo.cpp
innotab2 InnoTAB 2 (UK) vtech/vtech_innotab.cpp
innotv InnoTV vtech/innotv_innotabmax.cpp
iq7000 IQ-7000 sharp/wizard.cpp
jak_dchp DC Super Heroes The Watchtower Hero Portal tvgames/generalplus_gpl32612.cpp
jak_ddhp DreamWorks Dragons Hero Portal tvgames/generalplus_gpl32612.cpp
jak_prhp Power Rangers Super Megaforce Hero Portal tvgames/generalplus_gpl32612.cpp
jak_swbstrik Star Wars Blaster Strike tvgames/generalplus_gpl32612.cpp
jak_tmnthp Teenage Mutant Ninja Turtles Hero Portal tvgames/generalplus_gpl32612.cpp
karams KaraokeMicro Star (France) skeleton/easy_karaoke.cpp
karamsg Karaoke Microphone Pro / KaraokeMicro Star (Greece) skeleton/easy_karaoke.cpp
karatvst KaraokeTV Star (US, with 50 songs) skeleton/easy_karaoke.cpp
karatvsta KaraokeTV Star (US, with 25 songs, 'FREE 35 Hit Songs / $35 value' packaging) skeleton/easy_karaoke.cpp
kidizmb Kidizoom (Germany, blue camera) tvgames/generalplus_gpl32612.cpp
kidizmp Kidizoom Connect (Germany, pink camera) tvgames/generalplus_gpl32612.cpp
kidsupstar Kidi SuperStar LightShow vtech/kidsupstar.cpp
kov3hd Knights of Valour 3 HD (M-105CN 13-07-04 18:54:01) igs/pgm3.cpp
kov3hd101 Knights of Valour 3 HD (V101) igs/pgm3.cpp
kov3hd102 Knights of Valour 3 HD (V102) igs/pgm3.cpp
kov3hd103 Knights of Valour 3 HD (V103) igs/pgm3.cpp
kov3hd104 Knights of Valour 3 HD (V104) igs/pgm3.cpp
leapexpr Leapster Explorer leapfrog/leapster_explorer.cpp
lx_jg7420 Lexibook JG7420 200-in-1 tvgames/gpm4530a_lexibook_jg7420.cpp
magibooksp MagiBook (Spanish) vtech/magibook.cpp
maquinati La Máquina del Tiempo cirsa/cirsa2080606.cpp
mks4001 Star Singer Karaoke (MKS4001) skeleton/easy_karaoke.cpp
monkeyjmp Monkey Jump skeleton/cubieboard4.cpp
pocketmp Pocket Monsters PC tvgames/generalplus_gpl32612.cpp
pocketmr Pocket Monsters Rotom Tablet tvgames/generalplus_gpl32612.cpp
qczl Qing Cheng Zhi Lian sealy/sealy_eagle.cpp
sanxpet Sumikko Gurashi - Sumikko Sagashi tvgames/generalplus_gpl32612.cpp
storio Storio (GB, English, 2011-10-17) vtech/storio.cpp
storiode Storio (DE, German, 2011-10-17) vtech/storio.cpp
storioes Storio (ES, Spanish, 2011-10-17) vtech/storio.cpp
storioesa Storio (ES, Spanish, 2011-06-17?) vtech/storio.cpp
storiofr Storio (FR, French, 2011-10-17) vtech/storio.cpp
storionl Storio (NL, Dutch, 2011-10-17) vtech/storio.cpp
touryuu Touryuumon (V1.1)? eolith/ghosteo.cpp
unkanyw unknown AnyWorks / Sega medal game BIOS sega/anyworks.cpp
vreader V.Reader (US, English, 2011-10-17) vtech/storio.cpp
vreadercaen V.Reader (CA, English, 2011-10-17) vtech/storio.cpp
vreadercafr V.Reader (CA, French, 2011-10-17) vtech/storio.cpp
vsmilpro V.Smile Pro vtech/vsmilepro.cpp
zippity Zippity (US) tvgames/generalplus_gpl32612.cpp
-- begin --
Record 1
A relaxed structure of YTmTl2, computed with PBE.

Properties
Space group: Fm-3m
Uncorrected energy in eV/atom: -4.2496

```
16
Lattice="7.561 0.000 0.000 0.000 7.561 0.000 0.000 0.000 7.561" Properties=species:S:1:pos:R:3 pbc="T T T"
Y 0.000 0.000 0.000
Y 0.000 3.781 3.781
Y 3.781 0.000 3.781
Y 3.781 3.781 0.000
Tm 0.000 0.000 3.781
Tm 0.000 3.781 0.000
Tm 3.781 0.000 0.000
Tm 3.781 3.781 3.781
Tl 1.890 1.890 1.890
Tl 1.890 1.890 5.671
Tl 1.890 5.671 1.890
Tl 1.890 5.671 5.671
Tl 5.671 1.890 1.890
Tl 5.671 1.890 5.671
Tl 5.671 5.671 1.890
Tl 5.671 5.671 5.671
```



Record 2
A relaxed structure of Tm2TlZn, computed with PBE.

Properties
Space group: Fm-3m
Uncorrected energy in eV/atom: -3.4524

```
16
Lattice="7.285 0.000 0.000 0.000 7.285 0.000 0.000 0.000 7.285" Properties=species:S:1:pos:R:3 pbc="T T T"
Tm 1.821 1.821 1.821
Tm 1.821 1.821 5.464
Tm 1.821 5.464 1.821
Tm 1.821 5.464 5.464
Tm 5.464 1.821 1.821
Tm 5.464 1.821 5.464
Tm 5.464 5.464 1.821
Tm 5.464 5.464 5.464
Tl 0.000 0.000 0.000
Tl 0.000 3.642 3.642
Tl 3.642 0.000 3.642
Tl 3.642 3.642 0.000
Zn 0.000 0.000 3.642
Zn 0.000 3.642 0.000
Zn 3.642 0.000 0.000
Zn 3.642 3.642 3.642
```



Record 3
A relaxed structure of UTl3, computed with PBE.

Properties
M_tot in μB/f.u.: 2.68
Space group: Pm-3m
Uncorrected energy in eV/atom: -4.3824

```
4
Lattice="4.763 0.000 0.000 0.000 4.763 0.000 0.000 0.000 4.763" Properties=species:S:1:pos:R:3 pbc="T T T"
U 0.000 0.000 0.000
Tl 0.000 2.382 2.382
Tl 2.382 0.000 2.382
Tl 2.382 2.382 0.000
```



Record 4
A relaxed structure of Tl3V, computed with PBE.

Properties
M_tot in μB/f.u.: 3.07
Space group: Pm-3m
Uncorrected energy in eV/atom: -3.5145

```
4
Lattice="4.655 0.000 0.000 0.000 4.655 0.000 0.000 0.000 4.655" Properties=species:S:1:pos:R:3 pbc="T T T"
Tl 0.000 0.000 2.328
Tl 0.000 2.328 0.000
Tl 2.328 0.000 0.000
V 2.328 2.328 2.328
```



Record 5
A relaxed structure of Tl3V, computed with PBE.

Properties
M_tot in μB/f.u.: 3.26
Space group: I4/mmm
Uncorrected energy in eV/atom: -3.5340

```
8
Lattice="4.624 0.000 0.000 0.000 4.624 0.000 0.000 0.000 9.537" Properties=species:S:1:pos:R:3 pbc="T T T"
Tl 0.000 0.000 0.000
Tl 0.000 2.312 2.384
Tl 0.000 2.312 7.153
Tl 2.312 0.000 2.384
Tl 2.312 0.000 7.153
Tl 2.312 2.312 4.769
V 0.000 0.000 4.769
V 2.312 2.312 0.000
```



Record 6
A relaxed structure of Y3Tl5, computed with PBE.

Properties
Space group: Cmcm
Uncorrected energy in eV/atom: -4.2203

```
16
Lattice="5.096 -4.070 0.000 5.096 4.070 0.000 0.000 0.000 10.589" Properties=species:S:1:pos:R:3 pbc="T T T"
Y 5.096 3.078 7.942
Y 3.010 0.000 0.000
Y 3.010 0.000 5.294
Y 7.182 0.000 0.000
Y 7.182 0.000 5.294
Y 5.096 -3.078 2.647
Tl 2.272 1.686 7.942
Tl 5.096 2.478 0.418
Tl 5.096 2.478 4.876
Tl 2.272 -1.686 2.647
Tl 5.096 0.063 2.647
Tl 5.096 -0.063 7.942
Tl 7.920 1.686 7.942
Tl 5.096 -2.478 5.713
Tl 5.096 -2.478 10.170
Tl 7.920 -1.686 2.647
```
-- stop --
# Back to the piece
zippityuk Zippity (UK) tvgames/generalplus_gpl32612.cpp